== Wanted ==
Next, transcribe the whole of the lines underneath verbatim.

== Excerpt ==
'''
Record 1
Starting from a cell relaxed with PBE+U, the X-ray powder pattern of NiP4O12 was computed for Cu Ka.

Main lines, sorted by position (2θ from 5° to 70°):
11.9°, rel. 100.0
14.5°, rel. 50.2
19.7°, rel. 36.5
19.9°, rel. 55.2
23.6°, rel. 56.4
26.7°, rel. 49.9
31.0°, rel. 37.5
37.6°, rel. 28.8

Crystal structure
```
NiP4O12
1.0
4.771 -6.684 0.000
4.771 6.684 0.000
-2.664 0.000 7.074
Ni P O
2 8 24
direct
0.129 0.871 0.500
0.871 0.129 0.000
0.047 0.209 0.434
0.209 0.047 0.934
0.272 0.602 0.628
0.394 0.737 0.343
0.602 0.272 0.128
0.737 0.394 0.843
0.790 0.953 0.565
0.953 0.790 0.065
0.005 0.267 0.256
0.085 0.149 0.926
0.109 0.656 0.560
0.128 0.872 0.999
0.149 0.085 0.426
0.163 0.389 0.600
0.267 0.005 0.756
0.319 0.649 0.139
0.347 0.894 0.447
0.367 0.591 0.460
0.389 0.163 0.100
0.403 0.690 0.815
0.591 0.367 0.960
0.612 0.837 0.398
0.649 0.319 0.639
0.656 0.109 0.060
0.690 0.403 0.315
0.732 0.996 0.743
0.837 0.612 0.898
0.852 0.916 0.074
0.872 0.128 0.499
0.894 0.347 0.947
0.916 0.852 0.574
0.996 0.732 0.243
```

Record 2
Starting from a cell relaxed with PBE+U, the X-ray powder pattern of Ni4P2O9 was computed for Cu Ka.

Main lines, sorted by position (2θ from 5° to 70°):
13.3°, rel. 42.0
17.0°, rel. 43.7
26.9°, rel. 100.0
31.2°, rel. 53.2
32.4°, rel. 66.6
33.0°, rel. 70.0
36.4°, rel. 44.6
50.3°, rel. 51.7

Crystal structure
```
Ni4P2O9
1.0
8.465 0.000 0.000
0.000 6.347 0.000
0.000 0.000 13.268
Ni P O
16 8 36
direct
0.073 0.250 0.084
0.144 0.015 0.646
0.144 0.485 0.646
0.145 0.750 0.436
0.355 0.250 0.936
0.356 0.515 0.146
0.356 0.985 0.146
0.427 0.750 0.584
0.573 0.250 0.416
0.644 0.015 0.854
0.644 0.485 0.854
0.645 0.750 0.064
0.855 0.250 0.564
0.856 0.515 0.354
0.856 0.985 0.354
0.927 0.750 0.916
0.006 0.750 0.155
0.166 0.250 0.424
0.334 0.750 0.924
0.494 0.250 0.655
0.506 0.750 0.345
0.666 0.250 0.076
0.834 0.750 0.576
0.994 0.250 0.845
0.092 0.250 0.744
0.096 0.046 0.376
0.096 0.454 0.376
0.109 0.250 0.539
0.111 0.549 0.149
0.111 0.951 0.149
0.115 0.250 0.932
0.157 0.750 0.914
0.194 0.750 0.582
0.306 0.250 0.082
0.343 0.250 0.414
0.385 0.750 0.432
0.389 0.049 0.649
0.389 0.451 0.649
0.391 0.750 0.039
0.404 0.546 0.876
0.404 0.954 0.876
0.408 0.750 0.244
0.592 0.250 0.756
0.596 0.046 0.124
0.596 0.454 0.124
0.609 0.250 0.961
0.611 0.549 0.351
0.611 0.951 0.351
0.615 0.250 0.568
0.657 0.750 0.586
0.694 0.750 0.918
0.806 0.250 0.418
0.843 0.250 0.086
0.885 0.750 0.068
0.889 0.049 0.851
0.889 0.451 0.851
0.891 0.750 0.461
0.904 0.546 0.624
0.904 0.954 0.624
0.908 0.750 0.256
```

Record 3
Starting from a cell relaxed with PBE+U, the X-ray powder pattern of NiP4O12 was computed for Cu Ka.

Main lines, sorted by position (2θ from 5° to 70°):
10.4°, rel. 45.7
14.2°, rel. 100.0
17.2°, rel. 31.8
18.8°, rel. 16.8
22.5°, rel. 34.8
25.1°, rel. 20.9
26.2°, rel. 13.0
33.7°, rel. 23.7

Crystal structure
```
NiP4O12
1.0
8.595 -6.233 0.000
8.595 6.233 0.000
-0.804 0.000 5.112
Ni P O
2 8 24
direct
0.000 0.500 0.000
0.500 0.000 0.000
0.144 0.704 0.823
0.197 0.438 0.529
0.296 0.856 0.177
0.438 0.197 0.529
0.562 0.803 0.471
0.704 0.144 0.823
0.803 0.562 0.471
0.856 0.296 0.177
0.057 0.668 0.992
0.071 0.822 0.669
0.102 0.410 0.683
0.171 0.430 0.235
0.178 0.929 0.331
0.221 0.579 0.637
0.273 0.727 0.000
0.332 0.943 0.008
0.346 0.346 0.603
0.410 0.102 0.683
0.421 0.779 0.363
0.430 0.171 0.235
0.570 0.829 0.765
0.579 0.221 0.637
0.590 0.898 0.317
0.654 0.654 0.397
0.668 0.057 0.992
0.727 0.273 0.000
0.779 0.421 0.363
0.822 0.071 0.669
0.829 0.570 0.765
0.898 0.590 0.317
0.929 0.178 0.331
0.943 0.332 0.008
```

Record 4
Starting from a cell relaxed with PBE+U, the X-ray powder pattern of NiP3O9 was computed for Cu Ka.

Main lines, sorted by position (2θ from 5° to 70°):
17.9°, rel. 23.1
22.9°, rel. 100.0
23.3°, rel. 66.1
23.5°, rel. 28.9
25.7°, rel. 29.0
32.4°, rel. 27.3
33.1°, rel. 38.5
33.5°, rel. 31.1

Crystal structure
```
NiP3O9
1.0
8.429 0.000 0.000
0.000 8.567 0.000
0.000 0.000 8.748
Ni P O
4 12 36
direct
0.136 0.140 0.148
0.364 0.860 0.648
'''

== Worked solution ==
Record 1
Starting from a cell relaxed with PBE+U, the X-ray powder pattern of NiP4O12 was computed for Cu Ka.

Main lines, sorted by position (2θ from 5° to 70°):
11.9°, rel. 100.0
14.5°, rel. 50.2
19.7°, rel. 36.5
19.9°, rel. 55.2
23.6°, rel. 56.4
26.7°, rel. 49.9
31.0°, rel. 37.5
37.6°, rel. 28.8

Crystal structure
```
NiP4O12
1.0
4.771 -6.684 0.000
4.771 6.684 0.000
-2.664 0.000 7.074
Ni P O
2 8 24
direct
0.129 0.871 0.500
0.871 0.129 0.000
0.047 0.209 0.434
0.209 0.047 0.934
0.272 0.602 0.628
0.394 0.737 0.343
0.602 0.272 0.128
0.737 0.394 0.843
0.790 0.953 0.565
0.953 0.790 0.065
0.005 0.267 0.256
0.085 0.149 0.926
0.109 0.656 0.560
0.128 0.872 0.999
0.149 0.085 0.426
0.163 0.389 0.600
0.267 0.005 0.756
0.319 0.649 0.139
0.347 0.894 0.447
0.367 0.591 0.460
0.389 0.163 0.100
0.403 0.690 0.815
0.591 0.367 0.960
0.612 0.837 0.398
0.649 0.319 0.639
0.656 0.109 0.060
0.690 0.403 0.315
0.732 0.996 0.743
0.837 0.612 0.898
0.852 0.916 0.074
0.872 0.128 0.499
0.894 0.347 0.947
0.916 0.852 0.574
0.996 0.732 0.243
```

Record 2
Starting from a cell relaxed with PBE+U, the X-ray powder pattern of Ni4P2O9 was computed for Cu Ka.

Main lines, sorted by position (2θ from 5° to 70°):
13.3°, rel. 42.0
17.0°, rel. 43.7
26.9°, rel. 100.0
31.2°, rel. 53.2
32.4°, rel. 66.6
33.0°, rel. 70.0
36.4°, rel. 44.6
50.3°, rel. 51.7

Crystal structure
```
Ni4P2O9
1.0
8.465 0.000 0.000
0.000 6.347 0.000
0.000 0.000 13.268
Ni P O
16 8 36
direct
0.073 0.250 0.084
0.144 0.015 0.646
0.144 0.485 0.646
0.145 0.750 0.436
0.355 0.250 0.936
0.356 0.515 0.146
0.356 0.985 0.146
0.427 0.750 0.584
0.573 0.250 0.416
0.644 0.015 0.854
0.644 0.485 0.854
0.645 0.750 0.064
0.855 0.250 0.564
0.856 0.515 0.354
0.856 0.985 0.354
0.927 0.750 0.916
0.006 0.750 0.155
0.166 0.250 0.424
0.334 0.750 0.924
0.494 0.250 0.655
0.506 0.750 0.345
0.666 0.250 0.076
0.834 0.750 0.576
0.994 0.250 0.845
0.092 0.250 0.744
0.096 0.046 0.376
0.096 0.454 0.376
0.109 0.250 0.539
0.111 0.549 0.149
0.111 0.951 0.149
0.115 0.250 0.932
0.157 0.750 0.914
0.194 0.750 0.582
0.306 0.250 0.082
0.343 0.250 0.414
0.385 0.750 0.432
0.389 0.049 0.649
0.389 0.451 0.649
0.391 0.750 0.039
0.404 0.546 0.876
0.404 0.954 0.876
0.408 0.750 0.244
0.592 0.250 0.756
0.596 0.046 0.124
0.596 0.454 0.124
0.609 0.250 0.961
0.611 0.549 0.351
0.611 0.951 0.351
0.615 0.250 0.568
0.657 0.750 0.586
0.694 0.750 0.918
0.806 0.250 0.418
0.843 0.250 0.086
0.885 0.750 0.068
0.889 0.049 0.851
0.889 0.451 0.851
0.891 0.750 0.461
0.904 0.546 0.624
0.904 0.954 0.624
0.908 0.750 0.256
```

Record 3
Starting from a cell relaxed with PBE+U, the X-ray powder pattern of NiP4O12 was computed for Cu Ka.

Main lines, sorted by position (2θ from 5° to 70°):
10.4°, rel. 45.7
14.2°, rel. 100.0
17.2°, rel. 31.8
18.8°, rel. 16.8
22.5°, rel. 34.8
25.1°, rel. 20.9
26.2°, rel. 13.0
33.7°, rel. 23.7

Crystal structure
```
NiP4O12
1.0
8.595 -6.233 0.000
8.595 6.233 0.000
-0.804 0.000 5.112
Ni P O
2 8 24
direct
0.000 0.500 0.000
0.500 0.000 0.000
0.144 0.704 0.823
0.197 0.438 0.529
0.296 0.856 0.177
0.438 0.197 0.529
0.562 0.803 0.471
0.704 0.144 0.823
0.803 0.562 0.471
0.856 0.296 0.177
0.057 0.668 0.992
0.071 0.822 0.669
0.102 0.410 0.683
0.171 0.430 0.235
0.178 0.929 0.331
0.221 0.579 0.637
0.273 0.727 0.000
0.332 0.943 0.008
0.346 0.346 0.603
0.410 0.102 0.683
0.421 0.779 0.363
0.430 0.171 0.235
0.570 0.829 0.765
0.579 0.221 0.637
0.590 0.898 0.317
0.654 0.654 0.397
0.668 0.057 0.992
0.727 0.273 0.000
0.779 0.421 0.363
0.822 0.071 0.669
0.829 0.570 0.765
0.898 0.590 0.317
0.929 0.178 0.331
0.943 0.332 0.008
```

Record 4
Starting from a cell relaxed with PBE+U, the X-ray powder pattern of NiP3O9 was computed for Cu Ka.

Main lines, sorted by position (2θ from 5° to 70°):
17.9°, rel. 23.1
22.9°, rel. 100.0
23.3°, rel. 66.1
23.5°, rel. 28.9
25.7°, rel. 29.0
32.4°, rel. 27.3
33.1°, rel. 38.5
33.5°, rel. 31.1

Crystal structure
```
NiP3O9
1.0
8.429 0.000 0.000
0.000 8.567 0.000
0.000 0.000 8.748
Ni P O
4 12 36
direct
0.136 0.140 0.148
0.364 0.860 0.648